Preferred Citation: Krueger, Derek. Symeon the Holy Fool: Leontius's Life and the Late Antique City. Berkeley:  University of California Press,  c1996 1996.



This translation of the Life of Symeon the Fool by Leontius of Neapolis is based on the critical edition of the Greek text by Lennart Rydén in Léontios de Néapolis: Vie de Syméon le Fou et Vie de Jean de Chypre, ed. A. J. Festugière, in the series Bibliothèque archéologique et historique (Paris: Geuthner, 1974), pp. 55–104. The translator is indebted to the textual commentaries of Rydén (Bemerkungen zum Leben des heiligen Narren Symeon von Leontius von Neapolis [Uppsala: Almquist and Wiksell, 1970]) and Festugière (Vie de Syméon le Fou, pp. 161–222).

Numbers in square brackets refer to the pagination of the Greek text in Das Leben des heiligen Narren Symeon, ed. Lennart Rydén (Uppsala: Almquist and Wiksell, 1963), which is reproduced in the inner margins of Rydén’s text in the volume edited by Festugière, Vie de Syméon le Fou. Biblical references also appear in brackets. Words supplied to clarify the sense of the Greek appear in parentheses.

1. πολιτεία. Lampe (s.v.) lists many instances where this word refers to Christian life and conduct. It may also refer to ascetic practice. I have translated it as “conduct” and as “way of life.”

2. Leontius’s introduction focuses attention on the actions of holy persons as examples for others. This may seem particularly ironic, given the nature of the deeds to be described in the account which follows. By referring to Paul as a “vessel of election,” Leontius suggests that Symeon also was the recipient of God’s grace.

3. πολιτεία.

4. δόξα.

5. ἀπάθεια.

### Crystal structures, kept here for reference
<<<
Diffraction record for Li5BO4. The XRD peak list is simulated, not measured: it uses the GGA-PBE geometry in the Materials Project and Cu Kα X-rays.
Neutral-atom scattering factors, no anomalous dispersion.

```
data_Li5BO4
_chemical_formula_sum 'Li10 B2 O8'
_symmetry_space_group_name_H-M 'P m m n'
_symmetry_Int_Tables_number 59
_cell_length_a 5.9749
_cell_length_b 6.0905
_cell_length_c 4.5748
_cell_angle_alpha 90.00
_cell_angle_beta 90.00
_cell_angle_gamma 90.00
loop_
_symmetry_equiv_pos_as_xyz
'x,y,z'
'-x,-y,-z'
'-x+1/2,-y+1/2,z'
'x+1/2,y+1/2,-z'
'x+1/2,-y,-z'
'-x+1/2,y,z'
'-x,y+1/2,-z'
'x,-y+1/2,z'
loop_
_atom_site_label
_atom_site_type_symbol
_atom_site_fract_x
_atom_site_fract_y
_atom_site_fract_z
Li1 Li 0.0101 0.0520 0.2419
Li2 Li 0.2500 0.7500 0.3222
B1 B 0.2500 0.2500 0.7207
O1 O 0.0373 0.2500 0.9048
O2 O 0.2500 0.0417 0.5332
```

Peak list (10 most intense, 10 to 90 degrees two-theta, low angle first)
2θ = 20.83°, rel. 557
2θ = 24.33°, rel. 630
2θ = 24.51°, rel. 167
2θ = 35.41°, rel. 717
2θ = 35.90°, rel. 1000
2θ = 49.09°, rel. 178
2θ = 52.31°, rel. 139
2θ = 52.58°, rel. 184
2θ = 59.24°, rel. 374
2θ = 62.14°, rel. 141

----------

(1)
Calculated powder diffraction line list of URu2Rh for λ = 1.5418 Å (Cu Kα), from DFT lattice parameters and positions (PBE).

Largest 10 diffraction maxima, low angle first, 10 to 90 degrees two-theta:
2θ = 22.0°, d 4.043, rel. 101; 2θ = 31.7°, d 2.822, rel. 87; 2θ = 38.9°, d 2.314, rel. 1000; 2θ = 44.8°, d 2.022, rel. 335; 2θ = 46.1°, d 1.971, rel. 155; 2θ = 65.3°, d 1.430, rel. 110; 2θ = 66.2°, d 1.411, rel. 210; 2θ = 78.7°, d 1.216, rel. 261; 2θ = 80.4°, d 1.194, rel. 123; 2θ = 83.6°, d 1.157, rel. 113

Crystal structure
a = 4.043 Å, b = 4.043 Å, c = 3.942 Å
α = 90.00°, β = 90.00°, γ = 90.00°
Atoms (fractional coordinates):
U  0.000  0.000  0.000
Ru  0.000  0.500  0.500
Ru  0.500  0.000  0.500
Rh  0.500  0.500  0.000

***

(2)
Calculated powder diffraction line list of KNdZrNbO6 for λ = 1.5418 Å (Cu Kα), from DFT lattice parameters and positions (PBE).

Largest 10 diffraction maxima, low angle first, 10 to 90 degrees two-theta:
2θ = 18.7°, d 4.757, rel. 201; 2θ = 30.7°, d 2.913, rel. 1000; 2θ = 36.2°, d 2.484, rel. 120; 2θ = 44.0°, d 2.060, rel. 344; 2θ = 48.1°, d 1.890, rel. 56; 2θ = 54.6°, d 1.682, rel. 391; 2θ = 63.9°, d 1.457, rel. 205; 2θ = 72.6°, d 1.303, rel. 167; 2θ = 80.8°, d 1.189, rel. 67; 2θ = 88.9°, d 1.101, rel. 203

Crystal structure
a = 5.827 Å, b = 5.827 Å, c = 5.827 Å
α = 60.00°, β = 60.00°, γ = 60.00°
Atoms (fractional coordinates):
K  0.000  0.000  0.000
Nd  0.500  0.500  0.500
Zr  0.750  0.750  0.750
Nb  0.250  0.250  0.250
O  0.004  0.004  0.496
O  0.004  0.496  0.004
O  0.004  0.496  0.496
O  0.496  0.004  0.004
O  0.496  0.004  0.496
O  0.496  0.496  0.004

***

(3)
Calculated powder diffraction line list of CoNi2S4 for λ = 1.5418 Å (Cu Kα), from DFT lattice parameters and positions (PBE).

Largest 10 diffraction maxima, low angle first, 10 to 90 degrees two-theta:
>>>

6. παράδοξα.

7. Celebrated on September 14. The celebration of the Exaltation of the Cross in Jerusalem was established in the sixth century, after which it spread to other parts of the empire. It was first celebrated at Constantinople in 614. Leontius’s interest in the True Cross reflects an enthusiasm for the military successes of Heraclius. After the Cross had fallen into Persian hands, Heraclius restored the Cross to Jerusalem while on pilgrimage in 630. For bibliography see chapter 1.

8. This claim is problematic if Symeon is supposed to be 22 years old at the time.

9. Symeon and John are native Syriac speakers. Presumably Greek was the dominant language in the monasteries of the Jordan in this period, despite the use of Palestinian Syriac by the native population. Cf. Sidney H. Griffith, “The Gospel in Arabic: An Inquiry into Its Appearance in the First Abbasid Century,” Oriens Christianus 69 (1985): 161–63.

10. Modern Homs in Syria.

11. σαλός.

12. John the deacon.

13. Nikon (Νίκων) means victorious.

14. νίκων.

15. Abba Nikon.

16. σαλός.

17. δόξα, possibly also “repute.”

18. Those who have withdrawn from the world—hermits.

19. βοσκοί, hermits who ate grass in the desert.

20. I.e., before there were psalms to sing.

21. Symeon and John.

22. Leontius refers to Moses and the burning bush.

23. The angels.

24. The Arnon River (modern Mujib) flows through central Jordan into the Dead Sea.

25. This is a transliteration of the Syriac l’ tkr’ lky ’my, literally, “May it not grieve you, mother.” Cf. R. P. Graffin’s explanation quoted by Festugière, Vie de Syméon le Fou, p. 180.

Data records from another source follow.
-- begin --
Entry 1:
The following is a theoretical PXRD pattern of Ca3Pb. It was derived from a GGA-PBE-relaxed structure, using λ = 1.5418 Å (Cu Kα).
Lines closer than 0.1° are merged.

Top 8 peaks for 2θ from 10° to 90°, low angle first:
2θ/deg	I/Imax
17.46	64
24.78	58
30.48	100
35.33	50
39.67	36
43.64	28
50.83	35
60.43	41

a = 5.081 Å, b = 5.081 Å, c = 5.081 Å
α = 90.00°, β = 90.00°, γ = 90.00°
Sites, in units of the cell vectors:
Ca 0.000 0.000 0.500
Ca 0.000 0.500 0.000
Ca 0.500 0.000 0.000
Pb 0.500 0.500 0.500


Entry 2:
The following is a theoretical PXRD pattern of CaPdPb. It was derived from a GGA-PBE-relaxed structure, using λ = 1.5418 Å (Cu Kα).
Lines closer than 0.1° are merged.

Top 8 peaks for 2θ from 10° to 90°, low angle first:
2θ/deg	I/Imax
22.12	53
23.00	43
32.12	100
34.07	50
34.67	60
38.81	55
41.51	68
62.97	42

a = 8.038 Å, b = 8.038 Å, c = 3.867 Å
α = 90.00°, β = 90.00°, γ = 120.00°
Sites, in units of the cell vectors:
Ca 0.000 0.601 0.000
Ca 0.399 0.399 0.000
Ca 0.601 0.000 0.000
Pd 0.000 0.000 0.000
Pd 0.333 0.667 0.500
Pd 0.667 0.333 0.500
Pb 0.000 0.270 0.500
Pb 0.270 0.000 0.500
Pb 0.730 0.730 0.500


Entry 3:
The following is a theoretical PXRD pattern of CaPdPb. It was derived from a GGA-PBE-relaxed structure, using λ = 1.5418 Å (Cu Kα).
Lines closer than 0.1° are merged.

Top 8 peaks for 2θ from 10° to 90°, low angle first:
2θ/deg	I/Imax
16.06	47
21.37	77
24.18	47
30.92	46
32.49	89
37.42	100
37.55	65
38.24	50

a = 7.361 Å, b = 4.792 Å, c = 8.334 Å
α = 90.00°, β = 90.00°, γ = 90.00°
Sites, in units of the cell vectors:
Ca 0.019 0.250 0.195
Ca 0.481 0.750 0.695
Ca 0.519 0.250 0.305
Ca 0.981 0.750 0.805
Pd 0.217 0.750 0.404
Pd 0.283 0.250 0.904
Pd 0.717 0.750 0.096
Pd 0.783 0.250 0.596
Pb 0.178 0.250 0.579
Pb 0.322 0.750 0.079
Pb 0.678 0.250 0.921
Pb 0.822 0.750 0.421


Entry 4:
The following is a theoretical PXRD pattern of Ca4Rh6Pb19. It was derived from a GGA-PBE-relaxed structure, using λ = 1.5418 Å (Cu Kα).
Lines closer than 0.1° are merged.

Top 8 peaks for 2θ from 10° to 90°, low angle first:
2θ/deg	I/Imax
23.35	35
27.71	21
29.67	21
31.51	100
38.09	37
43.83	26
45.16	18
56.11	17

a = 10.431 Å, b = 10.431 Å, c = 10.431 Å
α = 109.47°, β = 109.47°, γ = 109.47°
Sites, in units of the cell vectors:
Ca 0.000 0.000 0.341
Ca 0.000 0.341 0.000
Ca 0.341 0.000 0.000
Ca 0.659 0.659 0.659
Rh 0.117 0.500 0.617
Rh 0.383 0.883 0.500
Rh 0.500 0.383 0.883
Rh 0.500 0.617 0.117
Rh 0.617 0.117 0.500
Rh 0.883 0.500 0.383
Pb 0.000 0.000 0.000
Pb 0.000 0.308 0.308
Pb 0.000 0.692 0.692
Pb 0.050 0.681 0.297
Pb 0.247 0.631 0.950
Pb 0.297 0.050 0.681
Pb 0.308 0.000 0.308
Pb 0.308 0.308 0.000
Pb 0.319 0.369 0.616
Pb 0.369 0.616 0.319
Pb 0.384 0.753 0.703
Pb 0.616 0.319 0.369
Pb 0.631 0.950 0.247
Pb 0.681 0.297 0.050
Pb 0.692 0.000 0.692
Pb 0.692 0.692 0.000
Pb 0.703 0.384 0.753
Pb 0.753 0.703 0.384
Pb 0.950 0.247 0.631


Entry 5:
-- stop --

26. Modern Urfa in Turkey. Edessa was a major center for Christian learning in Mesopotamia.

27. The use of the title “Father” is the honor to which Leontius refers.

28. Or “melted at the same time.”

29. ψηλαφάω, “to grope or stroke,” probably has sexual connotations here. (In medicine it refers to uterine examinations [cf. LSJ, s.v.].) It is, however, unclear whether it refers here to sex with a partner or to masturbation.

30. Symeon’s behavior recalls Jesus overturning the tables of the money changers in the courtyard of the temple.

31. The φουσκάριος sold a soup called phouska, which was made with vinegar. (Cf. Latin posca, a mixture of vinegar, hot water, and eggs.) He is not a “wine merchant” as others have conjectured. On this point, cf. Rydén, “Style and Historical Fiction in the Life of St. Andreas Salos,” DOP 32 (1978): 175–83. Leontius’s phouskarios also sells baked beans and boiled lentils in his stall in the market place. This should probably be understood as rather humble fare.

32. σαλός.

33. The phouska-seller addresses him as mari abba, a transliteration of the Syriac mry ab’, “my lord abba.”

34. θέρμια, a legume notorious for causing gas, and thus the rough equivalent of “baked beans.”

35. Presumably for evening prayer. Cf. Festugière, Vie de Syméon le Fou, pp. 190–91.

36. That is, he adhered to the theology of Severus of Antioch, a Monophysite who lived from about 465 to about 540. Severus rejected the notion that Christ had suffered hardship. He wrote in Greek, but his works are preserved only in Syriac. His teachings won wide currency in the Syrian churches in the sixth and seventh centuries. Cf. W. H. C. Frend, The Rise of the Monophysite Movement (Cambridge: Cambridge University Press, 1972), and John Meyendorff, Imperial Unity and Christian Division (Crestwood, N.Y.: St. Vladimir’s Seminary, 1989), pp. 252ff. For an extended discussion of Severus’s theology see Roberta Chesnut, Three Monophysite Christologies (Oxford: Oxford University Press, 1976), esp. pp. 9–56.

37. δημότες. Festugière translates “les habitués du cirque” (Vie de Syméon le Fou, p. 135) and justifies the translation at length (p. 194). Rydén, however, interpreted the term to mean a member of the crowd, an inhabitant of the city (Bermerkungen, pp. 94–96). I have adopted the translation “member of a circus faction” with some reservation. Circus factions were fans of various chariot-racing teams. Cf. Alan Cameron, Circus Factions (Oxford: Oxford University Press, 1976).

38. The meaning of the word ἀπέργης is unclear. Lampe suggests “idle,” but Festugière prefers “maladroit.” This is the only known occurrence of the term.

39. The game appears to be something like the American children’s game red rover. Willem Aerts reports that a game similar to the one described here is still played on Cyprus; “Emesa in der Vita Symeonis Sali von Leontios von Neapolis,” in From Late Antiquity to Early Byzantium, ed. Vladimír Vavrínek (prague: Academia, 1985), pp. 114–15.

40. On chronology problems created by this passage, see chapter 2. Evagrius, HE includes accounts of numerous earthquakes in the eastern Mediterranean in the fifth and sixth centuries (1.17; 2.12, 14; 4.4, 8, 23; 5.17; 6.8). Agathias, History 2.15–17 includes a digression on earthquakes throughout the Eastern Mediterranean in the mid-sixth century as well as a discussion of various current theories of the causes of earthquakes.

41. A version of this story is one of the anecdotes about Symeon in Evagrius, HE 4.34.

42. One takes a pro-Origen position, the other an anti-Origen position. The antiOrigenist classifies Origen’s achievements with those of pagan wisemen.

43. Such as the lot cast by Symeon earlier in the narrative.

44. γνωστικός: i.e., enlightened one, the perfect monk. Cf. Lampe s.v.; consider the title of Evagrius Ponticus’s Ο Γνωστικός. Here the term is obviously ironic.

45. ἐξαπλοῦν, perhaps a pun for Hexapla.

46. A stringed instrument much like a lute.

47. There was an increasing distrust of Jews among Syrian Christians during the early seventh century, presumably because they sympathized with the Persian invasion. For example, see Theophylact Simocatta, History 5.6.5–7. On Jews under Byzantine rule in this period see A. Sharf, “Byzantine Jewry in the Seventh Century,” BZ 48 (1955): 103–15; also Vincent Déroche, “L’Authenticité de l’ ‘Apologie contre les Juifs’ de Léontios de Néapolis,” Bulletin de correspondance hellénique 110 (1986): 655–69.

48. σαλίζω, a verb derived from σαλός.

49. Leontius is recalling Joseph of Arimathea.

50. While this appears to be an explanation for a cult of Symeon, there is no evidence that such a cult existed.

51. Perhaps a “mime-actress.”

52. πύρωσις, surely a euphemism for erection.

53. He behaves literally as a lunatic.

54. μωρία.

55. Or, perhaps, “by his spirit.”

56. ἁγία ἁγία. It is unclear who the holy woman called on is, but the Theotokos seems most likely. Cf. Rydén, Bemerkungen, p. 113. On the increasing importance of Mary in Late Antiquity and the Early Middle Ages, see Averil Cameron, “The Theotokos in Sixth Century Constantinople,” JThS n.s. 29 (1978): 79–108, and “The Virgin’s Robe: An Episode in the History of Early Seventh-Century Constantinople,” Byzantion 49 (1979): 42–56.

57. The language here recalls binding spells. See H. J. Magoulias, “The Lives of Byzantine Saints as Sources of Data for the History of Magic in the Sixth and Seventh Centuries A.D.: Sorcery, Relics, and Icons,” Byzantion 37 (1967): 228–69, and John G. Gager, ed., Curse Tablets and Binding Spells from the Ancient World (New York: Oxford University Press, 1992), esp. pp. 116–50.

58. One follis equals forty noumia. Symeon had not eaten for forty days.

59. Literally “dancing and making charges,” but see Festugière, Vie de Syméon le Fou, p. 209.

60. The language again reflects that of binding spells.

61. Fish, bread, and wine, of course, are the things which Jesus feeds to the multitudes in unlimited supply.

62. Festugière translates ζεστά here not as “fish,” but as “bread,” although he translates it as “fish” in the line before. The point must be that the fish were well spiced, since they might give one indigestion.

63. Cf. Martyrdom of Polycarp 15.

64. Cf. Mt 26:42.

65. κατανενυγμένως. The word is found only in Leontius, and its meaning is unclear. I have followed Festugière (Vie de Syméon le Fou, p. 150) in translating it “with such compunction.”

66. This is usually only the case with dead saints.

67. The meaning here is unclear. Literally, the man is “contracted to death”; however, this must not refer to his whole body but rather only to his eyes.

68. Cf. Jn 9:1–11.

69. αἰγίδια. This word usually means “goat kids,” but it can also mean “eye salve,” as it does in the writings of the sixth-century doctor, Aëtius of Amida (7.103) (cf. LSJ, s.v.). Consider also that αἰγίς, usually a “goatskin,” refers to a “speck in the eye” in the Hippocratic corpus (cf. LSJ, s.v.). Given the context, this is probably meant as a pun.

70. The amulet would have contained a piece of silver, gold, or papyrus with the text written on it.

71. μάνζηρε = mamzere, a Hebrew word (cf. mamzer in Modern Hebrew) which does not appear in Syriac. Festugière (Vie de Syméon le Fou, p. 214) postulates that this word was still used as an insult among Jews. However, its occurrence in a Christian text suggests that it was known to Jews and Christians alike in seventh-century Cyprus.

72. Leontius identifies the Jew with the shattered glass.

73. Literally, “out of darkness.”

74. Presumably more than a stone’s throw.

75. A reference to the Grazers (βοσκοί) of the first half of the text.

76. It is unclear whether this means that they too became fools or merely became monks.

77. Or perhaps “pennyroyal.”

78. It is unclear whether Symeon is demanding abstinence within marriage or merely marital fidelity.

79. μάταιος.

80. There were few churches in the countryside, so peasants came to town on Sundays and festivals.

81. κατάσκαλμος. The meaning of this word is unclear. Cf. Festugière (Vie de Syméon le Fou, p. 221), who translates “enfouissement.” I have chosen to follow Aerts, Leven van Symeon de Dwaas (Bonheiden, Belgium: Monastieke Cahiers, 1990), p. 87.

82. Symeon was a stranger in Emesa, not a resident, so this is perfectly sensible. Cf. Life of the Man of God where the Man of God is also buried in the strangers’ cemetery.

83. On the problem of which of the Jews mentioned earlier in the text is meant here, see chapter 2.

84. They were fools not to have seen Symeon’s true nature.

85. I.e., free from carnal appetites.


Preferred Citation: Krueger, Derek. Symeon the Holy Fool: Leontius's Life and the Late Antique City. Berkeley:  University of California Press,  c1996 1996.